Saturday, June 30, 2012

The Situation of Being a Good Friend

Shocking Revelation: Honesty might just be the best policy.
The Story:  A few months ago (like in May) I was crushing hard on one of my better guy friends(I had previously had a relationship with him a couple of years ago), but the fear of rejection stood in my way of revealing my feelings. Feeling out of his league, I sat my self down on the bench of cowardice where I was able to admire from a distance. I made the mistake of biding my time until someone else came along with a bigger pair of balls than I. That person just so happened to be one of my best friends (no one from my school). Being the amazing friend that I am, I took a step aside and told her I was cool with it. Truth was, I was anything but cool with it. And satirically enough I was the person she came to for advice on the flirtationship that arose from the two. Call me Oprah. While I am texting my mom and the occasional loser that tries to hangout with me -(in this sentence I am talking about the guys I talk to, not my friend)-, she is talking to that guy. That guy who is sweet, that guy who is caring, that guy who I f-ing liked first.
I guess my predicament is no ones fault except my own, if I had not been such a p*ssy maybe things would've worked out differently. Being a slave to my own internal devices was a mega problem. I need to bust free of the hold my fear of rejection places on me and actually take a chance with life.

PS_This has nothing to do with any of my 'friends' at my school, and by the way If you would assume I was hating on you before asking me about it than you obviously weren't much of a friend in the first place. And thanks for the unnecessary drama, you made me lose two friends but gain about two hundred page views,


  1. A good friend really maybe you shouldnt have told her to go ahead and go for the guy, and why wait till now seems like you should have said something a long time ago? thats not fair to do to your friends, do you honestly think that she isnt gonna see this? you call her your best friend and then turn around and call her a loser that sometimes trys to hang out with you and text you? sounds like you need to read the best friend manual a few more times.This isnt going to regain your friendships all its doing is losing their respect and trust along with everyone else who actually cares about them. If your going to talk about your "friend's" why not just tell them instead of "going behind their backs?" And that video about your other friend didnt do too much for you either. and you know when she does your going to loose her as a friend too.

    1. Oh and yeah... Nanabooboo go stick your head in doodoo... arguing with someone as severely immature is pointless. hahahahhahhahhahhahhahhah. Unfazed. and just curious, who da fuq do you think I'm talking about?

    2. Oh and BTW sasquatch, The girl I was talking about in the video knows how I feel and we ARE best friends bee-otch. Find some better shit to do than troll my blog you debbie MOFO-ing downer. Get some meds or something.

    3. ohhh i see where your join with that.... haha i was calling the guys that i talk too losers not my friend. Maybe you shouldn't assume. You know what they say about assuming....

    4. Oh and PS.. You're one of those people who are only alive because it's illegal to kill you. Just sayin',

-- begin --
Diffraction record for Tl2Pt7. The XRD peak list is calculated, not measured: it uses a crystal structure in OQMD, relaxed with GGA-PBE and λ = 1.5418 Å (Cu Kα).

Structure:
a = 2.9246 Å, b = 2.9246 Å, c = 32.4980 Å
α = 90.00°, β = 90.00°, γ = 120.00°
Space group P-3m1 (No. 164)
Inequivalent atoms, fractional coordinates:
Tl (0.3333, 0.6667, 0.2205) (multiplicity 2)
Pt (0.0000, 0.0000, 0.2978) (multiplicity 2)
Pt (0.0000, 0.0000, 0.5000) (multiplicity 1)
Pt (0.3333, 0.6667, 0.4333) (multiplicity 2)
Pt (0.3333, 0.6667, 0.6338) (multiplicity 2)

Main lines, sorted by position (2θ = 10–90°):
| Position (°2θ) | I_rel | (hkl) |
| --- | --- | --- |
| 37.2 | 41 | 1 0 4 |
| 38.1 | 100 | 1 0 5 |
| 38.8 | 19 | 0 0 14 |
| 41.7 | 19 | 0 0 15 |
| 43.7 | 34 | 0 1 9 |
| 45.4 | 55 | 0 1 10 |
| 63.7 | 34 | 1 1 0 |
| 79.0 | 18 | 1 1 15 |

Diffraction record for LuRe. The XRD peak list is calculated, not measured: it uses a crystal structure in OQMD, relaxed with GGA-PBE and λ = 1.5418 Å (Cu Kα).

Structure:
a = 3.071 Å, b = 4.653 Å, c = 3.085 Å
α = 90.00°, β = 119.57°, γ = 90.00°
Space group Pm (No. 6)
Inequivalent atoms, fractional coordinates:
Lu (0.000, 0.000, 0.000) (multiplicity 1)
Re (0.667, 0.500, 0.337) (multiplicity 1)

Main lines, sorted by position (2θ = 10–90°):
| Position (°2θ) | I_rel | (hkl) |
| --- | --- | --- |
| 33.4 | 14 | 0 0 1 |
| 33.5 | 15 | 1 0 0 |
| 33.7 | 15 | 1 0 -1 |
| 38.7 | 100 | 0 2 0 |
| 38.9 | 59 | 1 1 0 |
| 39.0 | 58 | 1 1 -1 |
| 70.1 | 23 | 0 3 1 |
| 73.4 | 21 | 1 2 1 |

Diffraction record for TePbAu. The XRD peak list is calculated, not measured: it uses a crystal structure in OQMD, relaxed with GGA-PBE and λ = 1.5418 Å (Cu Kα).

Structure:
a = 6.773 Å, b = 4.433 Å, c = 12.317 Å
α = 90.00°, β = 90.00°, γ = 90.00°
Space group Pnma (No. 62)
Inequivalent atoms, fractional coordinates:
Te (0.145, 0.250, 0.112) (multiplicity 4)
Pb (0.155, 0.250, 0.364) (multiplicity 4)
Au (0.120, 0.250, 0.626) (multiplicity 4)

Main lines, sorted by position (2θ = 10–90°):
| Position (°2θ) | I_rel | (hkl) |
| --- | --- | --- |
| 14.9 | 36 | 1 0 1 |
| 25.1 | 27 | 1 1 1 |
| 29.0 | 73 | 0 0 4 |
| 32.5 | 29 | 1 1 3 |
| 33.3 | 100 | 2 1 0 |
| 40.7 | 35 | 0 2 0 |
| 44.7 | 85 | 2 1 4 |
| 50.8 | 34 | 0 2 4 |

Diffraction record for Pm3Dy2Er. The XRD peak list is calculated, not measured: it uses a crystal structure in OQMD, relaxed with GGA-PBE and λ = 1.5418 Å (Cu Kα).

Structure:
a = 10.818 Å, b = 6.234 Å, c = 11.591 Å
α = 90.00°, β = 90.00°, γ = 90.00°
Space group Cmc2_1 (No. 36)
Inequivalent atoms, fractional coordinates:
Pm (0.000, 0.001, 0.000) (multiplicity 4)
Pm (0.166, 0.499, 0.500) (multiplicity 8)
Dy (0.167, 0.166, 0.250) (multiplicity 8)
Er (0.000, 0.334, 0.750) (multiplicity 4)

Main lines, sorted by position (2θ = 10–90°):
| Position (°2θ) | I_rel | (hkl) |
| --- | --- | --- |
| 29.7 | 48 | 0 2 1 |
| 30.9 | 35 | 0 0 4 |
| 32.6 | 100 | 3 1 2 |
| 37.0 | 27 | 0 2 3 |
| 50.7 | 27 | 6 0 0 |
| 56.0 | 22 | 3 1 6 |
| 60.5 | 31 | 6 0 4 |
-- stop --

    5. annd lil bitch, if you don't know how to take it don't deal it out, I can do this shit all night.

  2. I didnt say anything bad about my friend... i still am her friend. And how is this dissing anyone? Maybe u should stop hiding behind the 'anonymous' profile. This isnt about anyone in particular either. Get a life. Most of my blogging is fiction rtard.

  3. Haha I know right? I wonder who it is? It has to be someone we know....

  4. definitley, they just dont want you to know! lol But it makes it more interesting.

  5. i think i know who. I can almost hear their voice saying it. almost 100% sure

  6. wow you arent who we thought you were..... shows that you can think you know someone and be completely wrong im more upset that you would take it this far dont consider us your friends anymore.

  7. This just awkward when I found out who "Anonymous" was. Not so funny anymore..

-- Next to the page, the page also holds calculated crystals --
+++
Diffraction record for Hf2HgAu3. The powder diffractogram is computed, not measured: it uses a GGA-PBE-relaxed structure and a wavelength of 1.5418 Å.
Peak positions follow from Bragg's law for the DFT cell and can differ from measured ones.

Cell and atoms:
Unit cell a=3.563 b=3.563 c=9.033 alpha=90.00 beta=90.00 gamma=90.00
Fractional positions:
Hf (0.000, 0.000, 0.000)
Hf (0.500, 0.500, 0.480)
Hg (0.500, 0.500, 0.818)
Au (0.000, 0.000, 0.322)
Au (0.000, 0.000, 0.649)
Au (0.500, 0.500, 0.160)

Peak list (10 most intense, 2θ = 10–90°, by angle)
2θ/deg	d_spacing	I/Imax	(hkl)
35.64	2.519	66	1 1 0
39.17	2.300	100	1 0 3
51.28	1.781	24	2 0 0
61.61	1.505	6	0 0 6
66.38	1.408	43	2 1 3
73.25	1.292	16	1 1 6
75.47	1.260	8	2 2 0
84.20	1.150	11	2 0 6
86.35	1.127	11	3 1 0
88.50	1.105	11	3 0 3

~~~~~

1.
Starting from the PBE+U geometry in the Materials Project, the powder diffraction line list of TiMn4O10 was computed for λ = 1.5418 Å (Cu Kα).
Neutral-atom scattering factors, no anomalous dispersion.

Structural model:
abc: 5.8458 5.8458 24.1557
angles: 96.76 96.76 59.70
Positions (direct):
Ti  0.2002  0.2002  0.1002
Ti  0.2000  0.2000  0.6000
Ti  0.8000  0.8000  0.4000
Ti  0.7998  0.7998  0.8998
Mn  0.0000  0.0000  0.0000
Mn  0.0000  0.0000  0.5000
Mn  0.0000  0.5000  0.0000
Mn  0.0998  0.6000  0.7995
Mn  0.2002  0.7000  0.6000
Mn  0.3000  0.7998  0.4000
Mn  0.4003  0.4003  0.2004
Mn  0.4000  0.9002  0.2005
Mn  0.4006  0.4006  0.7001
Mn  0.5000  0.0000  0.0000
Mn  0.5994  0.5994  0.2999
Mn  0.6000  0.0998  0.7995
Mn  0.5997  0.5997  0.7996
Mn  0.7000  0.2002  0.6000
Mn  0.7998  0.3000  0.4000
Mn  0.9002  0.4000  0.2005
O  0.0442  0.0442  0.6414
O  0.0689  0.5157  0.1543
O  0.0695  0.0695  0.1544
O  0.0883  0.5347  0.6479
O  0.1152  0.6693  0.9540
O  0.1282  0.1282  0.4468
O  0.1341  0.6881  0.4477
O  0.1532  0.1532  0.9593
O  0.2470  0.2470  0.2410
O  0.2715  0.7106  0.7529
O  0.2719  0.2719  0.7527
O  0.2894  0.7285  0.2471
O  0.3119  0.8659  0.5523
O  0.3303  0.3303  0.0460
O  0.3307  0.8848  0.0460
O  0.3558  0.3558  0.5587
O  0.4466  0.4466  0.8404
O  0.4653  0.9117  0.3521
O  0.4714  0.4714  0.3533
O  0.4843  0.9311  0.8457
O  0.5157  0.0689  0.1543
O  0.5286  0.5286  0.6467
O  0.5347  0.0883  0.6479
O  0.5534  0.5534  0.1596
O  0.6442  0.6442  0.4413
O  0.6693  0.1152  0.9540
O  0.6697  0.6697  0.9540
O  0.6881  0.1341  0.4477
O  0.7106  0.2715  0.7529
O  0.7281  0.7281  0.2473
O  0.7285  0.2894  0.2471
O  0.7530  0.7530  0.7590
O  0.8468  0.8468  0.0407
O  0.8659  0.3119  0.5523
O  0.8718  0.8718  0.5532
O  0.8848  0.3307  0.0460
O  0.9117  0.4653  0.3521
O  0.9305  0.9305  0.8456
O  0.9311  0.4843  0.8457
O  0.9558  0.9558  0.3586

Principal peaks in the range 15 to 90 degrees two-theta, low angle first:
18.53 deg, I = 100
18.65 deg, I = 86
35.97 deg, I = 31
36.11 deg, I = 31
43.81 deg, I = 92
63.68 deg, I = 32



2.
+++

  8. yeah, but the funny part is that i was thinking it was the person who i actually wrote the article about...haha. but I guess to each her own. If you wanna read something and automatically assume it's about you with out asking me than I guess it's your problem.
